Given.
VASP calculation (PBE+U) on a relaxed Li9Mn2Co5O16 crystal.

Properties
- Energy of formation: -176.5 kJ/mol of atoms
- Uncorrected energy: -372.45 eV/cell
- E (MP2020): -6.523 eV per atom
- Energy relative to the lowest polymorph listed for this composition: 35 meV per atom
- Total magnetic moment: 16.0 Bohr magnetons per cell

```
data_Li9Mn2Co5O16
_symmetry_space_group_name_H-M 'C 1 m 1'
_symmetry_Int_Tables_number 8
_cell_length_a 11.7367
_cell_length_b 5.7989
_cell_length_c 8.4051
_cell_angle_alpha 90.00
_cell_angle_beta 90.68
_cell_angle_gamma 90.00
loop_
_symmetry_equiv_pos_as_xyz
'x,y,z'
'x,-y,z'
'x+1/2,y+1/2,z'
'x+1/2,-y+1/2,z'
loop_
_atom_site_label
_atom_site_type_symbol
_atom_site_fract_x
_atom_site_fract_y
_atom_site_fract_z
_atom_site_occupancy
Li1 Li 0.0000 0.0000 0.0000 1
Li2 Li 0.9998 0.0000 0.4892 1
Li3 Li 0.0019 0.5000 0.4870 1
Li4 Li 0.1235 0.2462 0.7525 1
Li5 Li 0.2482 0.0000 0.9989 1
Li6 Li 0.2500 0.5000 0.0019 1
Li7 Li 0.3773 0.2530 0.2382 1
Mn1 Mn 0.3767 0.2508 0.7476 1
Co1 Co 0.0007 0.5000 0.9974 1
Co2 Co 0.1197 0.2488 0.2339 1
Co3 Co 0.2464 0.5000 0.4859 1
Co4 Co 0.2478 0.0000 0.4856 1
O1 O 0.0016 0.5000 0.2490 1
O2 O 0.0058 0.0000 0.2507 1
O3 O 0.1184 0.2652 0.0045 1
O4 O 0.1329 0.2491 0.4921 1
O5 O 0.2449 0.0000 0.2485 1
O6 O 0.2463 0.5000 0.2523 1
O7 O 0.2622 0.0000 0.7428 1
O8 O 0.2643 0.5000 0.7498 1
O9 O 0.3660 0.2505 0.5133 1
O10 O 0.3841 0.2350 0.9742 1
O11 O 0.4864 0.5000 0.7407 1
O12 O 0.4875 0.0000 0.7356 1
```

=====

VASP calculation (PBE+U) on a relaxed La2Fe2O5 crystal.

Properties
- Energy of formation: -264.3 kJ/mol of atoms
- Uncorrected energy: -136.51 eV/cell
- E (MP2020): -8.467 eV per atom
- Energy relative to the lowest polymorph listed for this composition: 0 meV per atom
- Total magnetic moment: 0.0 Bohr magnetons per cell

```
data_La2Fe2O5
_symmetry_space_group_name_H-M 'P 1'
_symmetry_Int_Tables_number 1
_cell_length_a 5.5611
_cell_length_b 5.9068
_cell_length_c 8.8678
_cell_angle_alpha 109.18
_cell_angle_beta 107.93
_cell_angle_gamma 90.50
loop_
_symmetry_equiv_pos_as_xyz
'x,y,z'
loop_
_atom_site_label
_atom_site_type_symbol
_atom_site_fract_x
_atom_site_fract_y
_atom_site_fract_z
_atom_site_occupancy
La1 La 0.0000 0.0000 0.0000 1
La2 La 0.2221 0.2546 0.4464 1
La3 La 0.4978 0.5294 0.9997 1
La4 La 0.7253 0.7244 0.4473 1
Fe1 Fe 0.0976 0.6268 0.2238 1
Fe2 Fe 0.3798 0.9185 0.7231 1
Fe3 Fe 0.5969 0.1265 0.2234 1
Fe4 Fe 0.8790 0.3360 0.7234 1
O1 O 0.1924 0.6751 0.5035 1
O2 O 0.2596 0.2614 0.7230 1
O3 O 0.3343 0.3591 0.1777 1
O4 O 0.3773 0.8899 0.2691 1
O5 O 0.4131 0.8938 0.9429 1
O6 O 0.6921 0.3590 0.5038 1
O7 O 0.7619 0.9907 0.7238 1
O8 O 0.8338 0.3490 0.1782 1
O9 O 0.8775 0.9090 0.2691 1
O10 O 0.9130 0.5785 0.9431 1
```

=====

VASP calculation (PBE+U) on a relaxed NaTl2MoF6 crystal.

Properties
- Energy of formation: -247.0 kJ/mol of atoms
- Uncorrected energy: -192.02 eV/cell
- E (MP2020): -5.398 eV per atom
- Total magnetic moment: 12.0 Bohr magnetons per cell

```
data_NaTl2MoF6
_symmetry_space_group_name_H-M 'F m -3 m'
_symmetry_Int_Tables_number 225
_symmetry_space_group_name_Hall '-F 4 2 3'
_cell_length_a 8.8245
_cell_length_b 8.8245
_cell_length_c 8.8245
_cell_angle_alpha 90.00
_cell_angle_beta 90.00
_cell_angle_gamma 90.00
loop_
_atom_site_label
_atom_site_type_symbol
_atom_site_fract_x
_atom_site_fract_y
_atom_site_fract_z
_atom_site_occupancy
Na1 Na 0.0000 0.0000 0.0000 1
Tl1 Tl 0.2500 0.2500 0.2500 1
Mo1 Mo 0.0000 0.0000 0.5000 1
F1 F 0.0000 0.0000 0.2614 1
```

=====

VASP calculation (PBE+U) on a relaxed Li2CrNiO4 crystal.

Properties
- Energy of formation: -189.3 kJ/mol of atoms
- Uncorrected energy: -47.45 eV/cell
- E (MP2020): -6.842 eV per atom
- Total magnetic moment: 4.0 Bohr magnetons per cell

```
data_Li2CrNiO4
_symmetry_space_group_name_H-M 'P 1 2/m 1'
_symmetry_Int_Tables_number 10
_cell_length_a 5.0934
_cell_length_b 2.9394
_cell_length_c 5.0998
_cell_angle_alpha 90.00
_cell_angle_beta 109.36
_cell_angle_gamma 90.00
loop_
_symmetry_equiv_pos_as_xyz

Assignment.
Quote the lines earlier on word for word.

Here it is.
VASP calculation (PBE+U) on a relaxed Li9Mn2Co5O16 crystal.

Properties
- Energy of formation: -176.5 kJ/mol of atoms
- Uncorrected energy: -372.45 eV/cell
- E (MP2020): -6.523 eV per atom
- Energy relative to the lowest polymorph listed for this composition: 35 meV per atom
- Total magnetic moment: 16.0 Bohr magnetons per cell

```
data_Li9Mn2Co5O16
_symmetry_space_group_name_H-M 'C 1 m 1'
_symmetry_Int_Tables_number 8
_cell_length_a 11.7367
_cell_length_b 5.7989
_cell_length_c 8.4051
_cell_angle_alpha 90.00
_cell_angle_beta 90.68
_cell_angle_gamma 90.00
loop_
_symmetry_equiv_pos_as_xyz
'x,y,z'
'x,-y,z'
'x+1/2,y+1/2,z'
'x+1/2,-y+1/2,z'
loop_
_atom_site_label
_atom_site_type_symbol
_atom_site_fract_x
_atom_site_fract_y
_atom_site_fract_z
_atom_site_occupancy
Li1 Li 0.0000 0.0000 0.0000 1
Li2 Li 0.9998 0.0000 0.4892 1
Li3 Li 0.0019 0.5000 0.4870 1
Li4 Li 0.1235 0.2462 0.7525 1
Li5 Li 0.2482 0.0000 0.9989 1
Li6 Li 0.2500 0.5000 0.0019 1
Li7 Li 0.3773 0.2530 0.2382 1
Mn1 Mn 0.3767 0.2508 0.7476 1
Co1 Co 0.0007 0.5000 0.9974 1
Co2 Co 0.1197 0.2488 0.2339 1
Co3 Co 0.2464 0.5000 0.4859 1
Co4 Co 0.2478 0.0000 0.4856 1
O1 O 0.0016 0.5000 0.2490 1
O2 O 0.0058 0.0000 0.2507 1
O3 O 0.1184 0.2652 0.0045 1
O4 O 0.1329 0.2491 0.4921 1
O5 O 0.2449 0.0000 0.2485 1
O6 O 0.2463 0.5000 0.2523 1
O7 O 0.2622 0.0000 0.7428 1
O8 O 0.2643 0.5000 0.7498 1
O9 O 0.3660 0.2505 0.5133 1
O10 O 0.3841 0.2350 0.9742 1
O11 O 0.4864 0.5000 0.7407 1
O12 O 0.4875 0.0000 0.7356 1
```

=====

VASP calculation (PBE+U) on a relaxed La2Fe2O5 crystal.

Properties
- Energy of formation: -264.3 kJ/mol of atoms
- Uncorrected energy: -136.51 eV/cell
- E (MP2020): -8.467 eV per atom
- Energy relative to the lowest polymorph listed for this composition: 0 meV per atom
- Total magnetic moment: 0.0 Bohr magnetons per cell

```
data_La2Fe2O5
_symmetry_space_group_name_H-M 'P 1'
_symmetry_Int_Tables_number 1
_cell_length_a 5.5611
_cell_length_b 5.9068
_cell_length_c 8.8678
_cell_angle_alpha 109.18
_cell_angle_beta 107.93
_cell_angle_gamma 90.50
loop_
_symmetry_equiv_pos_as_xyz
'x,y,z'
loop_
_atom_site_label
_atom_site_type_symbol
_atom_site_fract_x
_atom_site_fract_y
_atom_site_fract_z
_atom_site_occupancy
La1 La 0.0000 0.0000 0.0000 1
La2 La 0.2221 0.2546 0.4464 1
La3 La 0.4978 0.5294 0.9997 1
La4 La 0.7253 0.7244 0.4473 1
Fe1 Fe 0.0976 0.6268 0.2238 1
Fe2 Fe 0.3798 0.9185 0.7231 1
Fe3 Fe 0.5969 0.1265 0.2234 1
Fe4 Fe 0.8790 0.3360 0.7234 1
O1 O 0.1924 0.6751 0.5035 1
O2 O 0.2596 0.2614 0.7230 1
O3 O 0.3343 0.3591 0.1777 1
O4 O 0.3773 0.8899 0.2691 1
O5 O 0.4131 0.8938 0.9429 1
O6 O 0.6921 0.3590 0.5038 1
O7 O 0.7619 0.9907 0.7238 1
O8 O 0.8338 0.3490 0.1782 1
O9 O 0.8775 0.9090 0.2691 1
O10 O 0.9130 0.5785 0.9431 1
```

=====

VASP calculation (PBE+U) on a relaxed NaTl2MoF6 crystal.

Properties
- Energy of formation: -247.0 kJ/mol of atoms
- Uncorrected energy: -192.02 eV/cell
- E (MP2020): -5.398 eV per atom
- Total magnetic moment: 12.0 Bohr magnetons per cell

```
data_NaTl2MoF6
_symmetry_space_group_name_H-M 'F m -3 m'
_symmetry_Int_Tables_number 225
_symmetry_space_group_name_Hall '-F 4 2 3'
_cell_length_a 8.8245
_cell_length_b 8.8245
_cell_length_c 8.8245
_cell_angle_alpha 90.00
_cell_angle_beta 90.00
_cell_angle_gamma 90.00
loop_
_atom_site_label
_atom_site_type_symbol
_atom_site_fract_x
_atom_site_fract_y
_atom_site_fract_z
_atom_site_occupancy
Na1 Na 0.0000 0.0000 0.0000 1
Tl1 Tl 0.2500 0.2500 0.2500 1
Mo1 Mo 0.0000 0.0000 0.5000 1
F1 F 0.0000 0.0000 0.2614 1
```

=====

VASP calculation (PBE+U) on a relaxed Li2CrNiO4 crystal.

Properties
- Energy of formation: -189.3 kJ/mol of atoms
- Uncorrected energy: -47.45 eV/cell
- E (MP2020): -6.842 eV per atom
- Total magnetic moment: 4.0 Bohr magnetons per cell

```
data_Li2CrNiO4
_symmetry_space_group_name_H-M 'P 1 2/m 1'
_symmetry_Int_Tables_number 10
_cell_length_a 5.0934
_cell_length_b 2.9394
_cell_length_c 5.0998
_cell_angle_alpha 90.00
_cell_angle_beta 109.36
_cell_angle_gamma 90.00
loop_
_symmetry_equiv_pos_as_xyz